# Assignment
Duplicate only the last part of the rows further below, starting with the line that has "0.7588".

# Material
____________
# 1
The following is a PBE calculation of crystalline KScI4 at its relaxed geometry, from the Alexandria database.

Cell lengths 4.3590, 7.7541, 8.7421 Å; angles 104.45, 90.00, 106.26 degrees
Fractional coordinates of all 6 atoms:
I  0.8800  0.7588  0.6882
I  0.6141  0.2291  0.9164
I  0.1200  0.2412  0.3118
I  0.3858  0.7709  0.0836
K  0.5000  0.0000  0.5000
Sc  0.0000  0.0000  0.0000

VASP energy = -3.56 eV per atom

# 2
The following is a PBE calculation of crystalline KSc3I at its relaxed geometry, from the Alexandria database.

Cell lengths 5.5220, 5.5220, 5.5220 Å; angles 90.00, 90.00, 90.00 degrees
Fractional coordinates of all 5 atoms:
Sc  0.0000  0.5000  0.0000
Sc  0.0000  0.0000  0.5000
Sc  0.5000  0.0000  0.0000
K  0.5000  0.5000  0.5000
I  0.0000  0.0000  0.0000

VASP energy = -3.81 eV per atom

# 3
The following is a PBE calculation of crystalline KScI3 at its relaxed geometry, from the Alexandria database.

Cell lengths 6.2134, 6.2134, 6.2134 Å; angles 90.00, 90.00, 90.00 degrees
Fractional coordinates of all 5 atoms:
I  0.0000  0.0000  0.5000
I  0.0000  0.5000  0.0000
I  0.5000  0.0000  0.0000
Sc  0.5000  0.5000  0.5000
K  0.0000  0.0000  0.0000

VASP energy = -2.55 eV per atom

# 4
The following is a PBE calculation of crystalline K2ScI4 at its relaxed geometry, from the Alexandria database.

Cell lengths 5.8216, 5.8216, 9.8921 Å; angles 107.11, 107.11, 90.00 degrees
Fractional coordinates of all 7 atoms:
I  0.0000  0.5000  0.0000
I  0.1671  0.1671  0.3342
I  0.8329  0.8329  0.6658
I  0.5000  0.0000  0.0000
K  0.3608  0.3608  0.7217
K  0.6392  0.6392  0.2783
Sc  0.0000  0.0000  0.0000

VASP energy = -3.33 eV per atom

# 5
The following is a PBE calculation of crystalline KSc2I at its relaxed geometry, from the Alexandria database.

Cell lengths 11.8955, 11.8955, 11.8955 Å; angles 17.42, 17.42, 17.42 degrees
Fractional coordinates of all 4 atoms:
I  0.5000  0.5000  0.5000
Sc  0.1013  0.1013  0.1013
Sc  0.8987  0.8987  0.8987
K  0.0000  0.0000  0.0000

VASP energy = -3.65 eV per atom

# 6
The following is a PBE calculation of crystalline KSc2I6 at its relaxed geometry, from the Alexandria database.

Cell lengths 8.0818, 7.4888, 7.4888 Å; angles 120.00, 90.00, 90.00 degrees
Fractional coordinates of all 9 atoms:
K  0.0000  0.0000  0.0000
I  0.2887  0.0000  0.6383
I  0.7113  0.0000  0.3617
I  0.2887  0.3617  0.3617
I  0.7113  0.3617  0.0000
I  0.2887  0.6383  0.0000
I  0.7113  0.6383  0.6383
Sc  0.5000  0.6667  0.3333
Sc  0.5000  0.3333  0.6667

VASP energy = -3.80 eV per atom

# 7
The following is a PBE calculation of crystalline KSc3I at its relaxed geometry, from the Alexandria database.

Cell lengths 5.3430, 5.3430, 5.3430 Å; angles 90.00, 90.00, 90.00 degrees
Fractional coordinates of all 5 atoms:
Sc  0.0000  0.5000  0.0000
Sc  0.5000  0.0000  0.0000
Sc  0.0000  0.0000  0.5000
I  0.5000  0.5000  0.5000
K  0.0000  0.0000  0.0000

VASP energy = -2.94 eV per atom

# 8
The following is a PBE calculation of crystalline KScI3 at its relaxed geometry, from the Alexandria database.

Cell lengths 4.3134, 8.9330, 10.7816 Å; angles 97.04, 101.56, 103.99 degrees
Fractional coordinates of all 10 atoms:
K  0.9258  0.0477  0.8866
K  0.5707  0.4981  0.7270
Sc  0.8807  0.6636  0.1787
Sc  0.6159  0.8822  0.4349
I  0.6379  0.3437  0.0145
I  0.8585  0.2021  0.5991
I  0.3970  0.5457  0.3298
I  0.3256  0.7416  0.9920
I  0.0996  0.0001  0.2838
I  0.1709  0.8042  0.6216

VASP energy = -3.61 eV per atom

# 9
The following is a PBE calculation of crystalline KScI3 at its relaxed geometry, from the Alexandria database.

Cell lengths 5.8844, 5.8844, 5.8844 Å; angles 90.00, 90.00, 90.00 degrees
Fractional coordinates of all 5 atoms:
I  0.0000  0.5000  0.0000
I  0.5000  0.0000  0.0000
I  0.0000  0.0000  0.5000
K  0.5000  0.5000  0.5000
Sc  0.0000  0.0000  0.0000

VASP energy = -3.54 eV per atom

# 10
The following is a PBE calculation of crystalline KSc2I at its relaxed geometry, from the Alexandria database.
____________

# Solution
I  0.8800  0.7588  0.6882
I  0.6141  0.2291  0.9164
I  0.1200  0.2412  0.3118
I  0.3858  0.7709  0.0836
K  0.5000  0.0000  0.5000
Sc  0.0000  0.0000  0.0000

VASP energy = -3.56 eV per atom

# 2
The following is a PBE calculation of crystalline KSc3I at its relaxed geometry, from the Alexandria database.

Cell lengths 5.5220, 5.5220, 5.5220 Å; angles 90.00, 90.00, 90.00 degrees
Fractional coordinates of all 5 atoms:
Sc  0.0000  0.5000  0.0000
Sc  0.0000  0.0000  0.5000
Sc  0.5000  0.0000  0.0000
K  0.5000  0.5000  0.5000
I  0.0000  0.0000  0.0000

VASP energy = -3.81 eV per atom

# 3
The following is a PBE calculation of crystalline KScI3 at its relaxed geometry, from the Alexandria database.

Cell lengths 6.2134, 6.2134, 6.2134 Å; angles 90.00, 90.00, 90.00 degrees
Fractional coordinates of all 5 atoms:
I  0.0000  0.0000  0.5000
I  0.0000  0.5000  0.0000
I  0.5000  0.0000  0.0000
Sc  0.5000  0.5000  0.5000
K  0.0000  0.0000  0.0000

VASP energy = -2.55 eV per atom

# 4
The following is a PBE calculation of crystalline K2ScI4 at its relaxed geometry, from the Alexandria database.

Cell lengths 5.8216, 5.8216, 9.8921 Å; angles 107.11, 107.11, 90.00 degrees
Fractional coordinates of all 7 atoms:
I  0.0000  0.5000  0.0000
I  0.1671  0.1671  0.3342
I  0.8329  0.8329  0.6658
I  0.5000  0.0000  0.0000
K  0.3608  0.3608  0.7217
K  0.6392  0.6392  0.2783
Sc  0.0000  0.0000  0.0000

VASP energy = -3.33 eV per atom

# 5
The following is a PBE calculation of crystalline KSc2I at its relaxed geometry, from the Alexandria database.

Cell lengths 11.8955, 11.8955, 11.8955 Å; angles 17.42, 17.42, 17.42 degrees
Fractional coordinates of all 4 atoms:
I  0.5000  0.5000  0.5000
Sc  0.1013  0.1013  0.1013
Sc  0.8987  0.8987  0.8987
K  0.0000  0.0000  0.0000

VASP energy = -3.65 eV per atom

# 6
The following is a PBE calculation of crystalline KSc2I6 at its relaxed geometry, from the Alexandria database.

Cell lengths 8.0818, 7.4888, 7.4888 Å; angles 120.00, 90.00, 90.00 degrees
Fractional coordinates of all 9 atoms:
K  0.0000  0.0000  0.0000
I  0.2887  0.0000  0.6383
I  0.7113  0.0000  0.3617
I  0.2887  0.3617  0.3617
I  0.7113  0.3617  0.0000
I  0.2887  0.6383  0.0000
I  0.7113  0.6383  0.6383
Sc  0.5000  0.6667  0.3333
Sc  0.5000  0.3333  0.6667

VASP energy = -3.80 eV per atom

# 7
The following is a PBE calculation of crystalline KSc3I at its relaxed geometry, from the Alexandria database.

Cell lengths 5.3430, 5.3430, 5.3430 Å; angles 90.00, 90.00, 90.00 degrees
Fractional coordinates of all 5 atoms:
Sc  0.0000  0.5000  0.0000
Sc  0.5000  0.0000  0.0000
Sc  0.0000  0.0000  0.5000
I  0.5000  0.5000  0.5000
K  0.0000  0.0000  0.0000

VASP energy = -2.94 eV per atom

# 8
The following is a PBE calculation of crystalline KScI3 at its relaxed geometry, from the Alexandria database.

Cell lengths 4.3134, 8.9330, 10.7816 Å; angles 97.04, 101.56, 103.99 degrees
Fractional coordinates of all 10 atoms:
K  0.9258  0.0477  0.8866
K  0.5707  0.4981  0.7270
Sc  0.8807  0.6636  0.1787
Sc  0.6159  0.8822  0.4349
I  0.6379  0.3437  0.0145
I  0.8585  0.2021  0.5991
I  0.3970  0.5457  0.3298
I  0.3256  0.7416  0.9920
I  0.0996  0.0001  0.2838
I  0.1709  0.8042  0.6216

VASP energy = -3.61 eV per atom

# 9
The following is a PBE calculation of crystalline KScI3 at its relaxed geometry, from the Alexandria database.

Cell lengths 5.8844, 5.8844, 5.8844 Å; angles 90.00, 90.00, 90.00 degrees
Fractional coordinates of all 5 atoms:
I  0.0000  0.5000  0.0000
I  0.5000  0.0000  0.0000
I  0.0000  0.0000  0.5000
K  0.5000  0.5000  0.5000
Sc  0.0000  0.0000  0.0000

VASP energy = -3.54 eV per atom

# 10
The following is a PBE calculation of crystalline KSc2I at its relaxed geometry, from the Alexandria database.